Request:
Please echo every line underneath that contains the word "H3".
File:
=====
(1)
Material: NiPH16NO10
Method: DFT, r²SCAN
State: optimized geometry

CIF file:
```
data_NiPH16NO10
_cell_length_a 6.879
_cell_length_b 6.021
_cell_length_c 11.095
_cell_angle_alpha 90.00
_cell_angle_beta 90.00
_cell_angle_gamma 90.00
_symmetry_space_group_name_H-M 'P m n 21'
_symmetry_Int_Tables_number 31
_symmetry_space_group_name_Hall 'P 2ac -2'
loop_
_atom_site_label
_atom_site_type_symbol
_atom_site_fract_x
_atom_site_fract_y
_atom_site_fract_z
Ni1 Ni 0.000 0.132 0.000
P1 P 0.000 0.502 0.372
H1 H 0.000 0.143 0.732
H2 H 0.000 0.274 0.594
H3 H 0.000 0.682 0.034
H4 H 0.000 0.785 0.168
H5 H 0.118 0.507 0.882
H6 H 0.121 0.029 0.620
H7 H 0.180 0.668 0.571
H8 H 0.182 0.878 0.357
H9 H 0.199 0.293 0.193
H10 H 0.243 0.874 0.870
N1 N 0.000 0.123 0.640
O1 O 0.000 0.453 0.926
O2 O 0.000 0.521 0.510
O3 O 0.000 0.736 0.315
O4 O 0.000 0.821 0.080
O5 O 0.184 0.378 0.330
O6 O 0.202 0.031 0.878
O7 O 0.224 0.231 0.110
```

Values from the calculation:
E, eV/atom: -6.178
Formation energy, eV per atom: -1.1737
Total magnetic moment, μB/f.u.: 2.000



(2)
Material: Nb2PC
Method: DFT, r²SCAN
State: optimized geometry

CIF file:
```
data_Nb2PC
_cell_length_a 3.3203
_cell_length_b 3.3203
_cell_length_c 11.5854
_cell_angle_alpha 90.00
_cell_angle_beta 90.00
_cell_angle_gamma 120.00
_symmetry_space_group_name_H-M 'P 63/m m c'
_symmetry_Int_Tables_number 194
_symmetry_space_group_name_Hall '-P 6c 2c'
loop_
_atom_site_label
_atom_site_type_symbol
_atom_site_fract_x
_atom_site_fract_y
_atom_site_fract_z
Nb1 Nb 0.3333 0.6667 0.1000
P1 P 0.3333 0.6667 0.7500
C1 C 0.0000 0.0000 0.0000
```

Values from the calculation:
E, eV/atom: -17.923
Formation energy, eV per atom: -0.8187
Total magnetic moment, μB/f.u.: 0.000



(3)
Material: CaO
Method: DFT, r²SCAN
State: optimized geometry

CIF file:
```
data_CaO
_cell_length_a 4.807
_cell_length_b 4.807
_cell_length_c 4.807
_cell_angle_alpha 90.00
_cell_angle_beta 90.00
_cell_angle_gamma 90.00
_symmetry_space_group_name_H-M 'F m -3 m'
_symmetry_Int_Tables_number 225
_symmetry_space_group_name_Hall '-F 4 2 3'
loop_
_atom_site_label
_atom_site_type_symbol
_atom_site_fract_x
_atom_site_fract_y
_atom_site_fract_z
Ca1 Ca 0.000 0.000 0.000
O1 O 0.000 0.000 0.500
```

Values from the calculation:
E, eV/atom: -9.730
Formation energy, eV per atom: -3.2242
Total magnetic moment, μB/f.u.: 0.000



(4)
Material: Hf2Fe3Si
Method: DFT, r²SCAN
State: optimized geometry

CIF file:
```
data_Hf2Fe3Si
_cell_length_a 4.9281
_cell_length_b 4.9281
_cell_length_c 8.0367
_cell_angle_alpha 90.00
_cell_angle_beta 90.00
_cell_angle_gamma 120.00
_symmetry_space_group_name_H-M 'P 63/m m c'
_symmetry_Int_Tables_number 194
_symmetry_space_group_name_Hall '-P 6c 2c'
loop_
_atom_site_label
_atom_site_type_symbol
_atom_site_fract_x
_atom_site_fract_y
_atom_site_fract_z
Hf1 Hf 0.3333 0.6667 0.0638
Fe1 Fe 0.1698 0.3396 0.7500
Si1 Si 0.0000 0.0000 0.0000
```

Values from the calculation:
E, eV/atom: -24.207
Formation energy, eV per atom: -0.4876
Total magnetic moment, μB/f.u.: 4.379



(5)
Material: EuGe2Ir
Method: DFT, r²SCAN
State: optimized geometry

CIF file:
```
data_EuGe2Ir
_cell_length_a 4.458
_cell_length_b 17.335
_cell_length_c 4.267
_cell_angle_alpha 90.00
_cell_angle_beta 90.00
_cell_angle_gamma 90.00
_symmetry_space_group_name_H-M 'C m c m'
_symmetry_Int_Tables_number 63
_symmetry_space_group_name_Hall '-C 2c 2'
loop_
_atom_site_label
_atom_site_type_symbol
_atom_site_fract_x
_atom_site_fract_y
_atom_site_fract_z
Eu1 Eu 0.000 0.106 0.250
Ge1 Ge 0.000 0.247 0.750
Ge2 Ge 0.000 0.459 0.250
Ir1 Ir 0.000 0.320 0.250
```

Values from the calculation:
E, eV/atom: -30.394
Formation energy, eV per atom: -0.7379
Total magnetic moment, μB/f.u.: 6.978



(6)
Material: Eu5Nb4O15
Method: DFT, r²SCAN
State: optimized geometry

CIF file:
```
data_Eu5Nb4O15
_cell_length_a 9.828
_cell_length_b 5.676
_cell_length_c 11.476
_cell_angle_alpha 90.00
_cell_angle_beta 90.01
_cell_angle_gamma 90.00
_symmetry_space_group_name_H-M 'C 1 m 1'
=====
Completed:
H3 H 0.000 0.682 0.034